Penn State alumnus Matthew T. Bresee, class of 2000, gave the Commencement Address at the college’s fall commencement on Dec. 15.
Bresee is president of the Erie BayHawks, the NBA G League affiliate of the Atlanta Hawks. He joined the BayHawks as vice president of operations prior to the team’s inaugural season in 2008 and was promoted to president in 2009. A communications and media studies graduate, he is a 2012 recipient of the Penn State Alumni Association’s Alumni Achievement Award, an annual honor given to graduates who demonstrate extraordinary professional accomplishment before the age of 35.
The title of his address was “Your Story.”
Chancellor Ford, distinguished faculty, staff, parents, family members, alumni and of course today’s prestigious graduates of the Class of 2017…I am grateful, humbled, and excited about the opportunity to speak with you today. Today is your day.
I feel so at home here. I had four great years here at Behrend and as Dr. Ford mentioned I now live just a few minutes from here, and we are on a basketball court right now, too. So I feel right at home.
Everyone has a unique story. Where you’re from, your heritage, your family, your field of study and so on. It’s the combination of all those that makes each of us unique, and it’s important that we celebrate and embrace the diversity of our individual stories.
Imagine if every book in the library had the same cover and told the same story? Or if every Snapchat story that you and all your friends posted were all the same? Fortunately, that’s not the case and we have endless amounts of content to tell, share, or snap.
And while all of our stories are unique, they most certainly have some similarities. Times of joy and sadness, accomplishment and defeat, moments of frustration and, of course, time for celebration, such as days like today.
It’s inspiring to look around this room and think about all the stories that are presumably just getting started.
For me and my story, I’ve been blessed with great opportunities over the years, not the least of which was the opportunity to attend Behrend 20 years ago.
Like it did for me, Behrend has now provided you a tremendous foundation from which to continue your story.
The road won’t always be easy and at times will seem long. I got my first job in professional sports at age 17, the summer before my freshman year at Behrend. My main functions of the job? Wash the team’s laundry and mop the locker room floors. I was literally doing the dirty work.
During those nights of washing uniforms until the wee hours of the morning, I wasn’t exactly sure where that experience would lead me. But reflecting back, it was an important first step in what would eventually take the form of a career path.
We live in a world where we’re seemingly always in the pursuit of instant gratification, but often the steps along a career path require time, patience and likely some level of perseverance.
Next to the page, the page also holds data records
********
(1)
ORCA calculation (wB97M-V/def2-TZVPD) on a molecular structure, C29H33BiN9O2S in a non-equilibrium geometry.

Geometry as XYZ:
```
75
Properties=species:S:1:pos:R:3
Bi 0.4081 0.0223 0.5371
O 1.1548 1.1151 -3.6693
C 1.2790 0.6989 -2.5444
N 0.2822 0.3345 -1.6770
C -1.0386 0.1853 -2.1904
C -1.4152 -0.0170 -3.5147
C -2.7866 -0.0766 -3.8478
C -3.7955 0.0336 -2.8821
C -3.3933 0.2606 -1.5853
C -2.0171 0.3158 -1.2273
N -1.6175 0.5345 0.1124
C -2.3765 1.3650 0.9185
O -3.1791 2.2031 0.5474
C -2.0351 1.2989 2.3700
C -2.7857 2.0997 3.2500
C -2.4038 2.1081 4.5695
C -1.2887 1.3468 4.9852
C -0.6117 0.6055 4.0646
N -0.9976 0.5580 2.7586
C 2.6856 0.5859 -2.0361
C 3.7368 0.9058 -2.8771
C 5.0232 0.7989 -2.3848
C 5.2172 0.4405 -1.0749
C 4.1394 0.1715 -0.2941
N 2.8865 0.2297 -0.7564
H -0.6702 -0.1912 -4.2312
H -3.0044 -0.2457 -4.8850
H -4.8305 -0.1393 -3.0927
H -4.1040 0.3188 -0.7645
H -3.5725 2.6829 2.8498
H -2.9457 2.7329 5.2877
H -0.9598 1.3430 6.0207
H 0.2915 0.0776 4.3813
H 3.5600 1.2178 -3.8906
H 5.7938 1.0774 -3.0853
H 6.2397 0.2479 -0.7350
H 4.2479 -0.1453 0.7291
C 3.5469 4.4203 1.2916
N 2.6566 4.1990 0.1504
C 3.0963 4.3099 -1.2292
C 1.8197 4.0603 -1.9617
N 1.0856 3.1626 -1.0346
C 1.5981 3.4153 0.2184
S 1.0121 2.7182 1.6466
H 4.4849 4.7583 0.9125
H 3.6442 3.4418 1.7839
H 3.2255 5.2179 1.9129
H 3.7602 3.4857 -1.4313
H 3.5348 5.2405 -1.5335
H 1.9312 3.5823 -2.9337
H 1.1794 4.9717 -2.1395
H 0.0755 3.0881 -1.1770
C -3.7353 -4.1018 1.1499
C -3.5654 -2.6343 1.5850
N -2.2743 -2.1436 1.0985
C -1.2090 -2.9102 0.7239
N -0.1489 -2.2720 0.2764
C 0.9902 -3.0242 -0.3604
C 0.6844 -4.4833 -0.5836
C -0.0607 -5.0082 0.6017
N -1.2751 -4.2099 0.8634
C -2.4650 -4.8875 1.4168
H -4.0457 -4.1397 0.1019
H -4.5141 -4.5600 1.7804
H -3.6357 -2.5802 2.6603
H -4.3875 -2.0632 1.1431
H -2.1179 -1.1675 0.8241
H 1.8639 -2.9495 0.3051
H 1.2343 -2.5716 -1.3145
H 1.5655 -5.0239 -0.7896
H 0.0411 -4.5201 -1.4305
H 0.5783 -5.0583 1.5306
H -0.3574 -6.0078 0.4120
H -2.3905 -5.0657 2.4819
H -2.5431 -5.7910 0.9115
```

## Properties
Net charge   +1
E_HOMO   -10.1 eV
HOMO-LUMO gap   7.6 eV
M   780.69 g/mol
Strongest force on any atom   0.0467 Eh/bohr
Multiplicity   1
ΔE to the lowest compared entry with this formula, charge and spin   6.5 kcal/mol

Here are the Löwdin charges for atoms 1 to 6, given in e: Bi 1.75; O 0.07; C -0.51; N -0.08; C -0.23; C 0.00

(2)
ORCA calculation (wB97M-V/def2-TZVPD) on C7H13NO in the gas phase in a non-equilibrium geometry.

Geometry as XYZ:
```
22
Properties=species:S:1:pos:R:3
C -1.0280 -0.4241 0.6262
C -0.4307 0.9462 0.9011
C -2.4027 -0.3952 0.0100
C 1.3030 -1.5872 0.0973
C 0.1540 -0.8754 -0.5856
C 1.5651 1.7101 -0.5022
C 0.3017 1.1911 -0.4250
O 2.2966 2.2046 0.5187
N -0.2505 -1.1563 -1.7628
H 1.7712 2.2269 1.3294
H -0.9304 -1.1169 1.4597
H 0.2803 -1.9025 -2.2083
H 2.1525 1.6513 -1.4101
H 0.2747 0.8966 1.7341
H -1.1947 1.7054 1.0892
H -0.3860 1.3975 -1.2361
H -2.7172 -1.4008 -0.2708
H -3.1324 0.0397 0.7010
H -2.3993 0.2111 -0.9001
H 2.0514 -1.9195 -0.6317
********
John Wooden, the legendary UCLA basketball coach, said “It takes time to create excellence. If it could be done quickly, more people would do it.”
You will at times have difficult decisions to make along the way. You may agonize over the decision of whether or not to change jobs. You might stress thinking about if you should relocate for a new opportunity. Maybe you will lose sleep over the thought of starting your own business.
I’ve been there. Almost 10 years ago I left a stable job at Erie Insurance to follow my passion and return to work in professional sports. It wasn’t an easy decision, but I followed by heart and jumped at the opportunity. (I also made sure my wife approved.)
My wish for all of you is to be able to follow your passion and do something you love to do, keeping in mind that if you want something you’ve never had, you’ll have to do something you’ve never done. That might mean following your gut, chasing your passion or taking a leap of faith.
An invaluable part of your story are the relationships made along the way.
I’m proud to say I still have relationships with some of the Behrend faculty and staff from my days here. I’d encourage you to stay in touch with the people here who have helped you get to this point.
As you go from here, find additional mentors and role models whom you want to learn from and model yourself after. Surround yourself with people of high character. People who are honest and trustworthy. People with integrity.
We all have those people in our lives that can serve as great examples for us, mentors and teachers who possess those qualities which we can identify with and desire to live by. I’m going to bet for many of you, some of those people whom you admire and look up to are here in this room.
When the opportunity arises, be a mentor yourself. Pay it forward and help others, as you’ve been helped.
I have a story I like to share about a mentoring experience I was a part of.
Thanks to Behrend, I had a special opportunity seven years ago to meet a young man named Ismael through the FastStart mentoring program. FastStart is sponsored by the Educational Equity and Diversity program here and it matches local Behrend alumni with freshmen students who opt into the program.
During one of the first times I met Ismael, he told me of his difficult upbringing and that he came to Behrend determined to make something of himself to not end up like his father or older brother. Both had spent time in prison and gotten mixed up in drugs.
**These quantum chemistry results were left in the article by mistake**
~~~
(1)
This record from the OMol25 dataset describes a structure of composition C36H76GeIrN12OSe. The level of theory is ωB97M-V/def2-TZVPD.

total energy	-183173.677	eV
relative energy (zero: lowest compared OMol25 entry of this formula, charge and spin)	0.0	kJ/mol
LUMO	-7.293	eV
frontier orbital gap	6.74	eV
charge	+3

Cartesian coordinates (Å):
Ir -0.485 -0.036 0.191
Se 3.931 4.038 -1.258
Ge 5.407 2.746 -3.905
O -3.318 -3.263 3.140
N -4.852 -0.139 0.879
N -0.554 2.890 -2.958
N -1.450 0.770 -3.190
N -2.517 -0.002 0.844
N 1.539 0.174 -0.062
N -3.674 -1.751 -0.262
N -0.916 1.578 -1.057
N 1.588 -1.571 -1.576
N -0.249 1.404 1.590
N -0.073 -1.594 1.654
N 3.595 -0.813 -0.690
N -2.459 -3.997 5.106
C -0.968 1.746 -2.383
C -0.970 0.576 -4.554
C 6.021 3.183 -5.696
C -3.646 -0.628 0.494
C 4.313 4.220 -3.174
C -2.641 0.902 2.012
C -1.207 3.466 -4.132
C -5.236 1.256 0.722
C 4.251 -2.117 -0.819
C 1.068 -2.311 1.702
C -3.784 -4.510 5.501
C -4.825 -2.039 -1.117
C -1.009 -3.092 3.297
C -1.269 2.730 -0.222
C 1.211 -3.426 2.501
C 0.141 -1.546 -1.698
C 2.141 0.974 1.015
C 2.207 -2.025 -2.837
C 6.880 2.342 -2.697
C -2.611 -0.015 -2.812
C -2.358 -3.464 3.889
C -2.763 -2.879 -0.166
C -1.707 -3.467 7.426
C 0.550 3.668 -2.415
C 1.132 1.198 2.139
C -4.750 -3.425 5.951
C 5.219 5.354 -0.636
C 4.534 0.301 -0.541
C 2.252 -0.678 -0.777
C -1.371 -4.103 6.086
C -5.900 -1.032 1.375
C -0.334 2.767 0.960
C 0.155 -3.846 3.300
C -1.287 1.194 2.639
C 4.136 1.238 -3.973
C -1.062 -1.988 2.467
H 1.235 3.918 -3.225
H -0.575 3.396 -5.019
H 2.336 -3.106 -2.846
H 4.803 -2.206 -1.756
H -1.994 -1.455 2.408
H -5.479 -2.794 -0.679
H -4.511 1.779 0.101
H -4.455 -2.426 -2.068
H -4.195 -5.042 4.643
H 6.592 2.354 -6.115
H 5.185 3.393 -6.363
H 4.964 -2.215 0.000
H -4.378 -2.889 6.824
H -2.912 0.258 -1.807
H 3.004 0.465 1.447
H -0.174 -2.488 -2.155
H 2.142 -3.975 2.478
H -4.924 -2.713 5.145
H 3.642 1.121 -3.005
H -0.637 3.488 1.719
H -6.201 1.296 0.215
H 3.361 4.238 -3.705
H 4.641 0.305 -4.230
H 1.883 -1.985 1.077
H 5.305 0.195 -1.306
H -0.490 -3.612 5.681
H 3.376 1.432 -4.732
H -2.550 -3.957 7.911
H 5.020 0.286 0.436
H -2.391 -1.086 -2.844
H 1.411 2.066 2.741
H -3.289 -3.736 0.258
H 0.239 -4.752 3.886
H 4.902 6.345 -0.945
H 1.091 0.331 2.794
H -2.404 -3.154 -1.161
H 7.406 1.446 -3.029
H -3.114 1.847 1.748
H 1.088 3.084 -1.676
H -5.396 -1.135 -1.308
H -1.131 -5.161 6.224
H 0.215 4.606 -1.966
H -2.154 2.968 -4.320
H 7.601 3.160 -2.685
H -1.405 4.519 -3.934
H 2.499 1.927 0.620
H 6.668 4.059 -5.671
H 6.198 5.116 -1.044
H 0.665 3.028 0.615
H -1.940 -2.408 7.313
H -5.476 -2.003 1.620
H -5.705 -3.876 6.217
H -5.340 1.771 1.680
H 4.765 5.203 -3.300
H -3.281 0.450 2.775
H -1.214 3.674 -0.759
H -1.681 0.934 -5.300
H -3.615 -5.239 6.292
H 4.052 1.260 -0.700
H 3.163 -1.535 -2.988
H 6.526 2.185 -1.677
H -0.019 1.085 -4.690
H -0.460 -1.673 -0.736
H -0.209 -0.746 -2.342
H 5.256 5.297 0.449
H 3.527 -2.925 -0.751
H -6.714 -1.148 0.658
H -0.820 -0.493 -4.726
H -3.432 0.179 -3.506
H -2.305 2.622 0.102
~~~
The more I got to know Ismael, I became inspired by him and by his drive and conviction to break the cycle in his family and find a path to success.
Ismael graduated from Behrend in 2015 with a bachelor’s degree in marketing. After graduation, we hired him to work for our team before he attended the police academy and he now works as a police officer.
Needless to say I’m extremely proud of him and impressed by what he’s accomplished. He is another Behrend success story, and someone who is still a friend to this day. But it was our relationship that began in a mentoring program that actually gave me as the mentor far more fulfillment than I ever anticipated.
Finally, I’ll leave you with this: When you think about your story remember that it’s just that – your story. Therefore, you get to have your own definition of success or happiness. Not someone else’s version of success, and not the way society might try and define what makes each of us successful or happy, but your own set of ambitions and goals for what you want your life to be, both professionally and personally.
So persevere through the challenges. Trust your gut. Follow your passion. And pay it forward at every opportunity.
Take time to reflect back on the previous chapters you’ve written and dream about what chapters lie ahead.
So from one Behrend graduate to another, I welcome each of you as fellow Penn State alumni and wish you the best of success. Be you and be great.
Congratulations and good luck. Thank you.